[Work order]
Your job: repeat everything below without altering anything.

[Given]
+++
[1]
# Re2SbN PBE relaxed
# Raw formation energy ... 1448 meV per atom
# Offset from the most stable computed form ... 0.8054 eV per atom
# E ... -126.21 eV per cell
# Total moment ... 0.00 μB per atom
data_Re2SbN
_chemical_formula_sum 'Re8 Sb4 N4'
_space_group_name_H-M_alt 'F m -3 m'
_space_group_IT_number 225
_space_group_name_Hall '-F 4 2 3'
_cell_length_a 6.162
_cell_length_b 6.162
_cell_length_c 6.162
_cell_angle_alpha 90.00
_cell_angle_beta 90.00
_cell_angle_gamma 90.00
loop_
_atom_site_label
_atom_site_type_symbol
_atom_site_fract_x
_atom_site_fract_y
_atom_site_fract_z
Re1 Re 0.250 0.250 0.250
Sb1 Sb 0.000 0.000 0.000
N1 N 0.000 0.000 0.500

[2]
# Sn4IrPt PBE relaxed
# Offset from the most stable computed form ... 0.0000 eV per atom
# E ... -130.52 eV per cell
# Total moment ... 0.00 μB per atom
# E_form ... -0.29 eV/atom
data_Sn4IrPt
_chemical_formula_sum 'Sn16 Ir4 Pt4'
_space_group_name_H-M_alt 'C 1 2/c 1'
_space_group_IT_number 15
_cell_length_a 8.712
_cell_length_b 14.672
_cell_length_c 5.917
_cell_angle_alpha 90.00
_cell_angle_beta 132.29
_cell_angle_gamma 90.00
loop_
_space_group_symop_operation_xyz
'x,y,z'
'-x,-y,-z'
'-x,y,-z+1/2'
'x,-y,z+1/2'
'x+1/2,y+1/2,z'
'-x+1/2,-y+1/2,-z'
'-x+1/2,y+1/2,-z+1/2'
'x+1/2,-y+1/2,z+1/2'
loop_
_atom_site_label
_atom_site_type_symbol
_atom_site_fract_x
_atom_site_fract_y
_atom_site_fract_z
Sn1 Sn 0.182 0.189 0.233
Sn2 Sn 0.193 0.446 0.145
Ir1 Ir 0.000 0.045 0.250
Pt1 Pt 0.000 0.303 0.750

[3]
# DyHf2ScN4 PBE relaxed
# Raw formation energy ... -1828 meV per atom
# E ... -315.05 eV per cell
# Total moment ... 0.00 μB per atom
data_DyHf2ScN4
_chemical_formula_sum 'Dy4 Hf8 Sc4 N16'
_space_group_name_H-M_alt 'I m m a'
_space_group_IT_number 74
_space_group_name_Hall '-I 2b 2'
_cell_length_a 6.520
_cell_length_b 6.552
_cell_length_c 9.241
_cell_angle_alpha 90.00
_cell_angle_beta 90.00
_cell_angle_gamma 90.00
loop_
_atom_site_label
_atom_site_type_symbol
_atom_site_fract_x
_atom_site_fract_y
_atom_site_fract_z
Dy1 Dy 0.250 0.250 0.250
Hf1 Hf 0.000 0.000 0.000
Hf2 Hf 0.250 0.250 0.750
Sc1 Sc 0.000 0.000 0.500
N1 N 0.000 0.016 0.753
N2 N 0.245 0.250 0.992

Question: What is the formula in the third record?
Answer: DyHf2ScN4

Question: Which formula does entry 1 have?
Answer: Re2SbN

* * * * *

No. 1
An optimized crystal structure of NiMo2Pb, computed with PBE-GGA.

Computed properties:
total energy = -7.323 eV per atom
formation enthalpy at 0 K = 465 meV/atom

abc: 4.165 2.916 5.766
angles: 78.32 90.00 90.00
Atoms (fractional coordinates):
1 Ni 0.000 0.641 0.464
2 Mo 0.500 0.229 0.262
3 Mo 0.000 0.016 0.032
4 Pb 0.500 0.614 0.743


No. 2
An optimized crystal structure of NiMo2Pb, computed with PBE-GGA.

Computed properties:
total energy = -6.944 eV per atom
formation enthalpy at 0 K = 844 meV/atom

abc: 7.354 7.354 5.824
angles: 50.85 50.85 90.00
Atoms (fractional coordinates):
1 Pb 0.000 0.000 0.000
2 Ni 0.250 0.750 0.500
3 Mo 0.585 0.125 0.250
4 Mo 0.875 0.835 0.750
5 Ni 0.500 0.500 0.000
6 Mo 0.165 0.625 0.250
7 Mo 0.375 0.415 0.750
8 Pb 0.750 0.250 0.500


- What is the total energy in the first record?
  -7.323 eV per atom


- Number 1 is which compound?
  NiMo2Pb


- Look up the total energy of the first one.
+++

[Solution]
[1]
# Re2SbN PBE relaxed
# Raw formation energy ... 1448 meV per atom
# Offset from the most stable computed form ... 0.8054 eV per atom
# E ... -126.21 eV per cell
# Total moment ... 0.00 μB per atom
data_Re2SbN
_chemical_formula_sum 'Re8 Sb4 N4'
_space_group_name_H-M_alt 'F m -3 m'
_space_group_IT_number 225
_space_group_name_Hall '-F 4 2 3'
_cell_length_a 6.162
_cell_length_b 6.162
_cell_length_c 6.162
_cell_angle_alpha 90.00
_cell_angle_beta 90.00
_cell_angle_gamma 90.00
loop_
_atom_site_label
_atom_site_type_symbol
_atom_site_fract_x
_atom_site_fract_y
_atom_site_fract_z
Re1 Re 0.250 0.250 0.250
Sb1 Sb 0.000 0.000 0.000
N1 N 0.000 0.000 0.500

[2]
# Sn4IrPt PBE relaxed
# Offset from the most stable computed form ... 0.0000 eV per atom
# E ... -130.52 eV per cell
# Total moment ... 0.00 μB per atom
# E_form ... -0.29 eV/atom
data_Sn4IrPt
_chemical_formula_sum 'Sn16 Ir4 Pt4'
_space_group_name_H-M_alt 'C 1 2/c 1'
_space_group_IT_number 15
_cell_length_a 8.712
_cell_length_b 14.672
_cell_length_c 5.917
_cell_angle_alpha 90.00
_cell_angle_beta 132.29
_cell_angle_gamma 90.00
loop_
_space_group_symop_operation_xyz
'x,y,z'
'-x,-y,-z'
'-x,y,-z+1/2'
'x,-y,z+1/2'
'x+1/2,y+1/2,z'
'-x+1/2,-y+1/2,-z'
'-x+1/2,y+1/2,-z+1/2'
'x+1/2,-y+1/2,z+1/2'
loop_
_atom_site_label
_atom_site_type_symbol
_atom_site_fract_x
_atom_site_fract_y
_atom_site_fract_z
Sn1 Sn 0.182 0.189 0.233
Sn2 Sn 0.193 0.446 0.145
Ir1 Ir 0.000 0.045 0.250
Pt1 Pt 0.000 0.303 0.750

[3]
# DyHf2ScN4 PBE relaxed
# Raw formation energy ... -1828 meV per atom
# E ... -315.05 eV per cell
# Total moment ... 0.00 μB per atom
data_DyHf2ScN4
_chemical_formula_sum 'Dy4 Hf8 Sc4 N16'
_space_group_name_H-M_alt 'I m m a'
_space_group_IT_number 74
_space_group_name_Hall '-I 2b 2'
_cell_length_a 6.520
_cell_length_b 6.552
_cell_length_c 9.241
_cell_angle_alpha 90.00
_cell_angle_beta 90.00
_cell_angle_gamma 90.00
loop_
_atom_site_label
_atom_site_type_symbol
_atom_site_fract_x
_atom_site_fract_y
_atom_site_fract_z
Dy1 Dy 0.250 0.250 0.250
Hf1 Hf 0.000 0.000 0.000
Hf2 Hf 0.250 0.250 0.750
Sc1 Sc 0.000 0.000 0.500
N1 N 0.000 0.016 0.753
N2 N 0.245 0.250 0.992

Question: What is the formula in the third record?
Answer: DyHf2ScN4

Question: Which formula does entry 1 have?
Answer: Re2SbN

* * * * *

No. 1
An optimized crystal structure of NiMo2Pb, computed with PBE-GGA.

Computed properties:
total energy = -7.323 eV per atom
formation enthalpy at 0 K = 465 meV/atom

abc: 4.165 2.916 5.766
angles: 78.32 90.00 90.00
Atoms (fractional coordinates):
1 Ni 0.000 0.641 0.464
2 Mo 0.500 0.229 0.262
3 Mo 0.000 0.016 0.032
4 Pb 0.500 0.614 0.743


No. 2
An optimized crystal structure of NiMo2Pb, computed with PBE-GGA.

Computed properties:
total energy = -6.944 eV per atom
formation enthalpy at 0 K = 844 meV/atom

abc: 7.354 7.354 5.824
angles: 50.85 50.85 90.00
Atoms (fractional coordinates):
1 Pb 0.000 0.000 0.000
2 Ni 0.250 0.750 0.500
3 Mo 0.585 0.125 0.250
4 Mo 0.875 0.835 0.750
5 Ni 0.500 0.500 0.000
6 Mo 0.165 0.625 0.250
7 Mo 0.375 0.415 0.750
8 Pb 0.750 0.250 0.500


- What is the total energy in the first record?
  -7.323 eV per atom


- Number 1 is which compound?
  NiMo2Pb


- Look up the total energy of the first one.